Remember the Lesley Gore tune, “It’s my party, and I’ll cry if I want to”? Well, if a person doesn’t obtain party status, they could end up crying because obtaining party status allows a person to appeal an adverse decision to the trial court.
The Pennsylvania Municipalities Planning Code [“MPC”], the governing law for zoning, sets forth who can be a party to a zoning hearing:
“The parties to the hearing shall be the municipality, any person affected by the application who has made timely appearance of record before the board, and any other person including civic or community organizations permitted to appear by the board. The board shall have power to require that all persons who wish to be considered parties enter appearances in writing on forms provided by the board for that purpose.”
Sounds simple enough, but the practice of obtaining party status varies widely among zoning hearing boards. Some boards require a person to enter a written appearance on a form provided by the zoning hearing board. Some boards ask at the beginning of the hearing if anyone in the audience wants party status. Some boards do not do anything at all and leave it up to a protestant to ask for party status.
A person “affected” by the application should be given party status. This is not a “bright line” test. Someone who lives next to the property or close by would be affected by the application. However, just showing up for a hearing and asking questions, or just submitting a letter objecting to the application without more, may not be enough to give someone party status. Coppola v. Smith Township Board of Supervisors, 208 A.3d 532 (Pa. Cmwlth. 2019). The best course of action if someone wants to obtain party status is to take some form of affirmative action either by entering a written appearance if that is required, or by specifically requesting party status at the hearing.
_Data records that have nothing to do with the piece_
┌──
[1]
# C8H20AgN4O3

A structure of composition C8H20AgN4O3 (wB97M-V/def2-TZVPD, the OMol25 dataset).

Gap between HOMO and LUMO (eV): 10.00
Charge: +1
LUMO level (eV): -2.44
HOMO (eV): -12.448

Positions of all 36 atoms, in Å:
Ag (0.033, 0.579, -0.898)
C (-3.844, 0.789, 3.267)
N (-3.579, 0.587, 1.850)
C (-4.735, 0.294, 1.013)
C (-2.347, 0.548, 1.329)
O (-2.133, 0.354, 0.132)
C (-1.191, 0.772, 2.300)
O (0.002, 0.491, 1.616)
C (1.167, 0.770, 2.345)
C (2.348, 0.657, 1.383)
O (2.161, 0.576, 0.166)
N (3.570, 0.669, 1.924)
C (4.746, 0.480, 1.084)
C (3.818, 0.755, 3.356)
H (-4.832, 1.233, 3.372)
H (-3.129, 1.476, 3.713)
H (-3.833, -0.154, 3.819)
H (-5.419, 1.143, 1.009)
H (-5.259, -0.580, 1.403)
H (-4.403, 0.092, 0.001)
H (-1.295, 0.129, 3.180)
H (-1.206, 1.818, 2.636)
H (1.274, 0.072, 3.182)
H (1.140, 1.792, 2.747)
H (4.441, 0.403, 0.047)
H (5.266, -0.433, 1.379)
H (5.425, 1.325, 1.203)
H (3.043, 1.323, 3.862)
H (4.760, 1.278, 3.511)
H (3.898, -0.235, 3.811)
N (0.357, 3.577, -0.834)
N (-0.347, 2.709, -1.733)
H (0.403, 4.521, -1.202)
H (1.302, 3.227, -0.737)
H (-0.145, 2.908, -2.708)
H (-1.338, 2.853, -1.583)


[2]
# C8H20BBr8Na3

A structure of composition C8H20BBr8Na3 (wB97M-V/def2-TZVPD, the OMol25 dataset).

Gap between HOMO and LUMO (eV): 7.33
Charge: +2
LUMO level (eV): -7.29
HOMO (eV): -14.619

Positions of all 40 atoms, in Å:
Na (0.253, -1.407, 2.434)
Na (-1.005, 1.678, 3.428)
Na (1.864, 3.018, 1.776)
B (0.259, 1.048, 1.147)
H (-0.283, 2.037, 1.557)
H (1.075, 0.687, 1.967)
H (-0.486, 0.120, 1.054)
H (0.804, 1.325, 0.121)
Br (1.553, -2.557, -2.138)
C (0.002, -1.369, -2.065)
C (-1.222, -2.230, -2.066)
Br (-2.755, -1.158, -1.525)
H (0.035, -0.725, -2.936)
H (0.125, -0.832, -1.132)
H (-1.181, -3.079, -1.393)
H (-1.449, -2.583, -3.068)
Br (1.522, 3.742, -1.067)
C (-0.407, 3.608, -1.525)
C (-0.581, 3.648, -3.009)
Br (-2.472, 3.614, -3.333)
H (-0.907, 4.419, -1.007)
H (-0.687, 2.662, -1.070)
H (-0.115, 2.799, -3.504)
H (-0.103, 4.521, -3.451)
Br (-1.658, -3.504, 1.908)
C (-3.026, -3.119, 3.259)
C (-3.989, -2.052, 2.770)
Br (-3.057, -0.435, 2.237)
H (-2.476, -2.741, 4.116)
H (-3.507, -4.064, 3.483)
└──
Finally, keep in mind that just because you received party status before the zoning hearing board does not automatically mean that you have standing to file an appeal. The standard to allow someone party status is more liberal than the standard to file an appeal. To file an appeal, someone needs to be a “person aggrieved”, i.e. a person who has a substantial, direct and immediate interest in the matter. This was the case in South Bethlehem Associates, LP v. Zoning Hearing Board of Bethlehem Township, 294 A.3d 441 (Pa. 2023), where a competitor hotel was given party status by the zoning hearing board to challenge the application of another hotel, but was denied standing to appeal the zoning decision granting variances because the competing hotel’s only interest was to suppress competition.